English Major Profile: Rebecca Gonner (B.A. 2017)

As a student, Rebecca Gonner focused on professional writing and was the Managing Editor of The Mirror & the Lamp for a record three years. Before graduating, she held a summer internship with Prime Publishing in Chicago. After graduation, she worked as a Customer Service Trainer at Whole Foods, and she held an internships at Booklist Publications and Agate Publishing in Chicago. She continues to freelance for both Agate and Booklist, and she currently holds a full-time position as a Technical Writer at Abbot in Chicago.

M&L: Why did you choose to major in English at Western? 

I was drawn to Western’s English program because it felt full of possibilities. The diversity in class topics beyond the standard canon-riddled curriculum appealed to me as someone more interested in contemporary literature and not entirely sure of my career goals. What I got out of my major at Western was so much more than I could have hoped for. The classes I took in Simpkins Hall not only expanded my knowledge, but helped me grow into the person I am today. The value I gained there is far and beyond the value of a diploma.

M&L: What is your current job?

I am currently a contract technical writer at Abbott Molecular. I assist in making changes to company documents such as manufacturing or testing procedures and work to document our assessments of impact in order to ensure we meet the standards of the many governing bodies we report to. It involves communication with different teams in the company, problem solving, research, and quite a lot of people-management. Each day is a little different and while some are certainly harder and longer than others, I have a great team to work with and I quite enjoy the work for the most part.

_Inserted here: calculated crystals_
+++
# NpH7Rh4
Computed powder diffraction line list, Cu Kα (weighted mean of Kα1 and Kα2). Input: a DFT-relaxed cell (GGA-PBE, Alexandria).

Cell and atoms:
a = 2.9886 Å, b = 14.8227 Å, c = 4.9639 Å
α = 90.00°, β = 90.00°, γ = 90.00°
Space group Imm2 (No. 44)
Symmetry-distinct sites (fractional):
Np: 0.0000 0.0000 0.0000
H: 0.0000 0.1270 0.6281
H: 0.0000 0.2857 0.2806
H: 0.0000 0.3707 0.6043
H: 0.0000 0.5000 0.1607
Rh: 0.0000 0.2516 0.6213
Rh: 0.0000 0.4066 0.9478

Top 6 peaks for 10 to 90 degrees two-theta, low angle first:
index, 2θ/deg, intensity
0 3 1, 25.44, 40.1
1 0 1, 35.06, 50.7
0 5 1, 35.26, 48.6
1 2 1, 37.15, 100.0
0 2 2, 38.24, 30.3
1 5 0, 42.97, 29.7


# NpH2Rh
Computed powder diffraction line list, Cu Kα (weighted mean of Kα1 and Kα2). Input: a DFT-relaxed cell (GGA-PBE, Alexandria).

Cell and atoms:
a = 5.0381 Å, b = 5.0381 Å, c = 6.2275 Å
α = 90.00°, β = 90.00°, γ = 120.00°
Space group P3_121 (No. 152)
Symmetry-distinct sites (fractional):
Np: 0.0000 0.6467 0.1667
H: 0.1493 0.4908 0.8288
Rh: 0.0000 0.7261 0.6667

Top 6 peaks for 10 to 90 degrees two-theta, low angle first:
index, 2θ/deg, intensity
0 1 1, 24.92, 38.1
1 0 2, 35.42, 100.0
1 1 0, 35.64, 91.4
0 2 2, 51.12, 32.7
0 1 4, 63.44, 18.8
2 1 2, 63.87, 29.9


# Np3H2Rh9
Computed powder diffraction line list, Cu Kα (weighted mean of Kα1 and Kα2). Input: a DFT-relaxed cell (GGA-PBE, Alexandria).

Cell and atoms:
a = 5.7382 Å, b = 5.7382 Å, c = 7.0503 Å
α = 90.00°, β = 90.00°, γ = 120.00°
Space group P-3m1 (No. 164)
Symmetry-distinct sites (fractional):
Np: 0.0000 0.0000 0.0000
Np: 0.3333 0.6667 0.3379
H: 0.3333 0.6667 0.8299
Rh: 0.0000 0.5000 0.0000
Rh: 0.1651 0.3302 0.6665

Top 6 peaks for 10 to 90 degrees two-theta, low angle first:
index, 2θ/deg, intensity
0 0 3, 38.30, 33.6
2 0 1, 38.41, 100.0
0 2 2, 44.62, 65.9
2 0 4, 64.86, 21.5
2 2 0, 65.01, 21.4
2 2 3, 78.07, 37.9


# NpSbHRh
Computed powder diffraction line list, Cu Kα (weighted mean of Kα1 and Kα2). Input: a DFT-relaxed cell (GGA-PBE, Alexandria).

Cell and atoms:
a = 4.6099 Å, b = 4.6099 Å, c = 3.6793 Å
α = 90.00°, β = 90.00°, γ = 120.00°
Space group P-6m2 (No. 187)
Symmetry-distinct sites (fractional):
Np: 0.0000 0.0000 0.0000
Sb: 0.3333 0.6667 0.5000
H: 0.6667 0.3333 0.0000
Rh: 0.6667 0.3333 0.5000

Top 6 peaks for 10 to 90 degrees two-theta, low angle first:
index, 2θ/deg, intensity
1 0 0, 22.27, 14.8
1 0 1, 33.11, 100.0
1 1 0, 39.08, 56.9
2 0 1, 52.13, 28.2
1 1 2, 64.85, 25.7
2 1 1, 67.04, 26.7
+++

 M&L: How did your study of English help you to succeed in your career?

## The piece is interrupted by crystal structures
____________
The following is a simulated powder diffractogram of Rb3ErBr6. It was derived from a structure optimized by DFT (GGA-PBE), using Cu Kα (weighted mean of Kα1 and Kα2).
Neutral-atom scattering factors, no anomalous dispersion.

Principal peaks in the range 10° ≤ 2θ ≤ 90°, sorted by position:
Position (°2θ)  I (rel.)
11.08  63
14.89  57
27.07  30
30.04  100
31.84  34
45.87  40

Lattice parameters (Å, degrees): 9.200 9.200 9.200 50.95 50.95 50.95
Fractional coordinates of all 10 atoms:
1 Rb 0.000 0.000 0.000
2 Rb 0.212 0.212 0.212
3 Rb 0.788 0.788 0.788
4 Er 0.500 0.500 0.500
5 Br 0.238 0.731 0.731
6 Br 0.269 0.269 0.762
7 Br 0.269 0.762 0.269
8 Br 0.731 0.238 0.731
9 Br 0.731 0.731 0.238
10 Br 0.762 0.269 0.269

=====

# Na4CaZr2TiSi4O16F2
Theoretical powder diffraction line list, copper Kα. Input: a cell relaxed with GGA-PBE.
Peak positions follow from Bragg's law for the DFT cell and can differ from measured ones.

Principal peaks in the range 2θ from 10° to 80°, by angle:
(hkl)  Position (°2θ)  d [Å]  I_rel
0 1 0  12.30  7.197  21
0 1 1  13.22  6.695  18
1 1 1  21.57  4.121  17
1 1 -4  25.47  3.497  17
0 0 6  29.35  3.043  61
1 2 1  30.56  2.926  100
2 0 -4  33.68  2.661  29
1 2 -5  36.18  2.482  23
1 2 7  48.83  1.865  33
0 4 0  50.74  1.799  18

Crystal structure
```
Na4CaZr2TiSi4O16F2
1.0
5.723 0.000 0.000
0.000 7.197 0.000
-4.223 0.000 18.255
Na Ca Zr Ti Si O F
8 2 4 2 8 32 4
direct
0.000 0.111 0.250 Na
0.000 0.889 0.750 Na
0.204 0.113 0.070 Na
0.204 0.887 0.570 Na
0.500 0.346 0.250 Na
0.500 0.654 0.750 Na
0.796 0.113 0.430 Na
0.796 0.887 0.930 Na
0.500 0.150 0.750 Ca
0.500 0.850 0.250 Ca
0.199 0.383 0.575 Zr
0.199 0.617 0.075 Zr
0.801 0.383 0.925 Zr
0.801 0.617 0.425 Zr
0.000 0.396 0.750 Ti
0.000 0.604 0.250 Ti
0.271 0.117 0.896 Si
0.271 0.883 0.396 Si
0.279 0.339 0.395 Si
0.279 0.661 0.895 Si
0.721 0.339 0.105 Si
0.721 0.661 0.605 Si
0.729 0.117 0.604 Si
0.729 0.883 0.104 Si
0.077 0.178 0.943 O
0.077 0.822 0.443 O
0.100 0.407 0.448 O
0.100 0.593 0.948 O
0.181 0.410 0.311 O
0.181 0.590 0.811 O
0.195 0.193 0.811 O
0.195 0.807 0.311 O
0.226 0.382 0.685 O
0.226 0.618 0.185 O
0.264 0.112 0.391 O
0.264 0.888 0.891 O
0.442 0.402 0.077 O
0.442 0.598 0.577 O
0.449 0.178 0.570 O
0.449 0.822 0.070 O
0.551 0.178 0.930 O
0.551 0.822 0.430 O
0.558 0.402 0.423 O
0.558 0.598 0.923 O
0.736 0.112 0.109 O
0.736 0.888 0.609 O
0.774 0.382 0.815 O
0.774 0.618 0.315 O
0.805 0.193 0.689 O
0.805 0.807 0.189 O
0.819 0.410 0.189 O
0.819 0.590 0.689 O
0.900 0.407 0.052 O
0.900 0.593 0.552 O
0.923 0.178 0.557 O
0.923 0.822 0.057 O
0.294 0.090 0.191 F
0.294 0.910 0.691 F
0.706 0.090 0.309 F
0.706 0.910 0.809 F
```

=====

This entry pairs a crystal structure of YV4Cu3O12 with its theoretical powder diffractogram. Radiation: copper Kα. Structure: a DFT-relaxed cell (GGA+U, Alexandria).

The 10 most intense peaks (10 to 90 degrees two-theta), low angle first:
- 2θ 34.10, I = 100
- 2θ 34.27, I = 97
- 2θ 49.12, I = 56
- 2θ 61.04, I = 24
- 2θ 61.15, I = 47
____________

My degree and what I learned at Western has come to play in every job I’ve had, from grocery store cashier team trainer at Whole Foods Market to publishing house intern with Agate Publishing, and now technical writer at Abbott Molecular. The critical thinking, communication skills, and time management that I honed in my time at Western have been vital in each position I’ve held. As team trainer at Whole Foods, I created documents to keep track of all my trainees, information sheets on different products we offered to help keep our team informed, and often strategized different ways to best teach each member of a team diverse in age and education/career backgrounds. With Agate Publishing, my work varied from sentence-level editing to design-focused PowerPoint creation. And at Abbott one of the most important parts of my position is clearly communicating the project’s intent from big-picture to small-detail in a way that anyone could understand. All of this I have been able to do because of what I learned earning my English degree at Western Illinois University.

M&L: What were some of your best experiences as a student in English at Western? 

To be honest, The Mirror & the Lamp was one of my favorite parts of my entire college experience. Being the managing editor was not a position I ever would have sought out on my own, but trusted with the responsibility (Thanks again, Dr. Banash), I was able to learn and grow so much. From bringing together my team of editors each year to attending department events I likely wouldn’t have otherwise, being a part of The Mirror & the Lamp helped make me a part of the English Department as a whole in a way I truly appreciated. I had the opportunity to attend a book binding workshop because I was covering it for the magazine, I had the opportunity to interview classmates and learn more about them, and even for opportunities that I didn’t personally cover, I was able to read my classmate’s articles and learn about them as well. While I truly loved the classes I had the privilege to take in my time at Western (Women in Film and Television with Dr. Di Carmine, New Media Literature with Dr. Morrow, Non-Western Lit with Dr. Allison), getting involved outside the classroom was what made my time at Western truly exceptional.

M&L: What advice would you give to students considering studying English here at Western?

I feel that Western’s English department really is a space for anyone. The class diversity and department events and opportunities offer so many possibilities to learn and grow. So long as you have a love for stories (and you’re considering English, so that’s a given) there is plenty to discover and create at Western Illinois University. I personally wouldn’t trade my four years at Western for anything, and I know I wouldn’t be the person I am today without it. If you are considering studying at Western, I encourage you to take the chance, and you’ll find that this department gives back what you put into it. The experience is yours to make.